Intermittent fasting fans

Vovo80 Posts: 1 Member
Hi there, just joined and looking to engage with anyone who is / has tried intermittent fasting for weight loss. Could use all the tips and tricks I can get.


  • livingleanlivingclean
    livingleanlivingclean Posts: 11,751 Member
    If you need tips and tricks to make it work, it's probably not for you. If you naturally like eating your meals within a smaller than "normal" window, and it helps you stick to your calorie goal, go for it...
  • 4theking
    4theking Posts: 1,196 Member
    I have done it and love it!
  • Faygetshealthy_2018
    Faygetshealthy_2018 Posts: 53 Member
    I have tried it and loved it. Gave me a boost of energy. I was doing it everyday and lost weight on it. I stopped doing it everyda and now do it a couple of a days a week. I do 16:8 so fast for 16hrs and eat my calories in an 8hr window. Omg, the first few days were hard as I got dizzy, faunt but after 3 days I was bursting with energy. It also best to excercise a few hrs before you break your fast. That stage in your fast burns alot of fat. Drink lots of water and unsweetened drinks like tea or coffee to fill you up if you get hungry. Please be mindful of your calories. I wasn't tracking my calories with IF and I think I didn't lose as much as I hoped. The first month of my weightloss journey I lost only 1kg but wasn't doing IF. Second month I started IF I lost 2.7kg so it was a big difference, third month I lost 2.2kgs, fourth month 800grams. This month I am not doing IF everyday but sometimes I have dinner early then don't eat till next day 9 or 9.30am so it kind of happens on it own. Since I didn't lose much last month, I decided to start tracking my food intake and calories and boy I did realise I was eating more than I should of. So I could've lost lots more weight on IF if I was tracking my calories. I will definitely be doing IF everyday again once I have a little break and just learn portion sizes. First week on the app and tracking calories I lost 1.6KG so I am excited for my next weigh in on Friday as I have been under my daily calories and exercising daily. There is a guy on youtube, his channel name is Fledge Fitness, he has really good videos about IF. I also watched some other youtube videos and did some research about it and loved it.

    Please add me if you wish. We can definitely motivate each other. Good luck!
  • Annalliflosca
    Annalliflosca Posts: 5 Member
    I have only been doing IF since 9th Feb this year but love it and don't want to go back. I have already been lifting and eating well since Feb 2016 but since doing the 16/8 intermittent fasting I can see results and my family notice already too. I slipped into it so easy I found. First week I did 14/10, then 16/8 from there. I work long shifts and nights and I find it fits well with work. :) Still learning and follow many on you tube like Dr Berg, Tim DeLauer and Fledge Fitness too.
  • HowAreYaNow
    HowAreYaNow Posts: 20 Member
    Love IF, just started again on it after being off of the whole shebang for a year and change. Like others say, the first 3-5 days are miserable, but once you get though that, you start really getting in tune with your body's signals. The hardest thing to do is pinning where exactly you want to break your fast (It should be around the same time every day) and sticking to it. I do a 18/6 fast/feast module and it's a bit extreme at first, but it's the only way I can reliably do my calories.

_Here the text breaks off for records of crystals_
~~~
1.
The following is a simulated PXRD pattern of Mn3RhN. It was derived from a cell relaxed with PBE, using Cu Kα X-rays.
Intensities are scaled so that the largest is 100.

The 6 most intense peaks (2θ from 15° to 90°), sorted by position:
- 2.759 Å, 32.5 deg, I = 15.9
- 2.252 Å, 40.0 deg, I = 100.0
- 1.951 Å, 46.6 deg, I = 57.0
- 1.379 Å, 68.0 deg, I = 33.6
- 1.176 Å, 81.9 deg, I = 33.5
- 1.126 Å, 86.4 deg, I = 11.3

Cell: 3.9014 3.9014 3.9014 Å, 90.00 90.00 90.00°
Atoms (fractional coordinates):
Mn1 0.0000 0.0000 0.5000
Mn2 0.0000 0.5000 0.0000
Mn3 0.5000 0.0000 0.0000
Rh1 0.5000 0.5000 0.5000
N1 0.0000 0.0000 0.0000

***

2.
The following is a simulated PXRD pattern of Mn4RuN4. It was derived from a cell relaxed with PBE, using Cu Kα X-rays.
Intensities are scaled so that the largest is 100.

The 6 most intense peaks (2θ from 15° to 90°), sorted by position:
- 3.191 Å, 28.0 deg, I = 78.2
- 2.485 Å, 36.1 deg, I = 89.0
- 2.344 Å, 38.4 deg, I = 100.0
- 2.251 Å, 40.1 deg, I = 59.2
- 1.912 Å, 47.6 deg, I = 66.1
- 1.898 Å, 47.9 deg, I = 57.6

Cell: 5.3309 5.6156 7.1830 Å, 71.65 78.93 61.78°
Atoms (fractional coordinates):
Mn1 0.1991 0.4891 0.2325
Mn2 0.2087 0.8582 0.4043
Mn3 0.2640 0.9997 0.9987
Mn4 0.2801 0.1363 0.5947
Mn5 0.7199 0.8637 0.4053
Mn6 0.7360 0.0003 0.0013
Mn7 0.7913 0.1418 0.5957
Mn8 0.8009 0.5109 0.7675
Ru1 0.3283 0.4560 0.7712
Ru2 0.6717 0.5440 0.2288
N1 0.0108 0.8806 0.1919
N2 0.0277 0.2471 0.3823
N3 0.3583 0.2579 0.0467
N4 0.4686 0.7512 0.6109
N5 0.5314 0.2488 0.3891
N6 0.6417 0.7421 0.9533
N7 0.9723 0.7529 0.6177
N8 0.9892 0.1194 0.8081
~~~

    Good luck! Also, Leangains has a lot of science and some well thought out articles based on IF methods.
  • Azercord
    Azercord Posts: 573 Member

    Is the location of the group if you are looking for more information/support.
  • mahnoorup
    mahnoorup Posts: 4 Member
    edited March 2018
    I love IF. It comes naturally to me since I've never been a breakfast person. BUT I used to binge late night, or snack a lot till I went to bed and fasting consciously helps curb that.
    If you are a breakfast person and get hungry in the morning some things that help are drinking black coffee and drinking lots of water - drink water till you feel full lol - helps you meet your daily water goal too!
    Feel free to add me, I'm looking for more friends on the app to hold me accountable!